(What to do)
The reader should repeat the lines underneath from the one with "Cu1 0.000" to the one with "0.261 0.233" with every line break kept.

(Given)
<<<
# 1
First-principles (GGA-PBE) data for a relaxed structure of Cu3Si, as listed in Materials Project.

```
data_Cu3Si
_chemical_formula_sum 'Cu6 Si2'
_cell_length_a 3.606
_cell_length_b 3.606
_cell_length_c 7.364
_cell_angle_alpha 90.00
_cell_angle_beta 90.00
_cell_angle_gamma 90.00
_space_group_name_H-M_alt 'I 4/m m m'
_space_group_IT_number 139
_space_group_name_Hall '-I 4 2'
loop_
_atom_site_label
_atom_site_fract_x
_atom_site_fract_y
_atom_site_fract_z
Cu1 0.000 0.000 0.000
Cu2 0.000 0.500 0.250
Si1 0.000 0.000 0.500
```

The value obtained for the energy of formation is -0.02 eV/atom.

***

# 2
First-principles (GGA-PBE) data for a relaxed structure of Ti2N2O, as listed in Materials Project.

```
data_Ti2N2O
_chemical_formula_sum 'Ti16 N16 O8'
_cell_length_a 8.203
_cell_length_b 8.222
_cell_length_c 8.226
_cell_angle_alpha 109.44
_cell_angle_beta 109.42
_cell_angle_gamma 109.41
_space_group_name_H-M_alt 'P 1'
_space_group_IT_number 1
loop_
_space_group_symop_operation_xyz
'x,y,z'
loop_
_atom_site_label
_atom_site_fract_x
_atom_site_fract_y
_atom_site_fract_z
Ti1 0.000 0.000 0.000
Ti2 0.001 0.499 0.495
Ti3 0.048 0.710 0.237
Ti4 0.214 0.168 0.439
Ti5 0.246 0.466 0.204
Ti6 0.263 0.960 0.694
Ti7 0.293 0.754 0.946
Ti8 0.466 0.212 0.161
Ti9 0.495 0.913 0.395
Ti10 0.517 0.422 0.904
Ti11 0.539 0.711 0.737
Ti12 0.701 0.671 0.443
Ti13 0.750 0.458 0.691
Ti14 0.762 0.972 0.207
Ti15 0.794 0.256 0.957
Ti16 0.964 0.212 0.651
N1 0.017 0.448 0.236
N2 0.027 0.500 0.748
N3 0.241 0.685 0.147
N4 0.261 0.233 0.241
N5 0.295 0.732 0.692
N6 0.305 0.972 0.476
N7 0.476 0.688 0.469
N8 0.479 0.422 0.650
N9 0.523 0.185 0.929
N10 0.524 0.008 0.202
N11 0.711 0.414 0.423
N12 0.744 0.998 0.960
N13 0.764 0.921 0.434
N14 0.791 0.510 0.972
N15 0.977 0.908 0.184
N16 0.987 0.235 0.421
O1 0.026 0.230 0.920
O2 0.196 0.947 0.918
O3 0.205 0.191 0.704
O4 0.493 0.477 0.157
O5 0.512 0.681 0.970
O6 0.705 0.188 0.656
O7 0.806 0.737 0.737
O8 0.979 0.735 0.465
```

The value obtained for the energy of formation is -1.98 eV/atom.

***

Number 1: mass density 7.6 g cm⁻³. Number 2: mass density 4.3 g cm⁻³.


# 1
Computed, not measured: a relaxed CoPtN2 crystal at the GGA-PBE level of DFT.

```
CoPtN2
1.0
1.394 -2.407 0.000
1.394 2.407 0.000
0.000 0.000 12.203
Co Pt N
2 2 4
direct
0.000 0.000 0.000
0.000 0.000 0.500
0.335 0.665 0.750
0.665 0.335 0.250
0.335 0.665 0.587
0.335 0.665 0.913
0.665 0.335 0.087
0.665 0.335 0.413
```

Output
magnetic moment: 0.56 μB per formula unit
calculated volume: 41 Å³/f.u.
E (MP2020): -0.5321 Ry/atom
calculated total energy: -7.059 eV/atom
formation enthalpy at 0 K: 0.22 eV per atom

=====

# 2
Computed, not measured: a relaxed MgH8I2O10 crystal at the GGA-PBE level of DFT.

```
MgH8I2O10
1.0
8.435 0.000 0.000
0.000 6.702 0.000
-1.496 0.000 8.406
Mg H I O
2 16 4 20
direct
0.000 0.000 0.000
0.000 0.500 0.500
0.010 0.118 0.314
0.010 0.382 0.814
0.151 0.001 0.756
0.151 0.499 0.256
0.264 0.618 0.722
0.264 0.882 0.222
0.272 0.727 0.556
0.272 0.773 0.056
0.728 0.227 0.944
0.728 0.273 0.444
0.736 0.118 0.778
0.736 0.382 0.278
0.849 0.501 0.744
0.849 0.999 0.244
0.990 0.618 0.186
0.990 0.882 0.686
0.337 0.177 0.532
0.337 0.323 0.032
0.663 0.677 0.968
0.663 0.823 0.468
0.059 0.572 0.286
0.059 0.928 0.786
0.119 0.223 0.479
0.119 0.277 0.979
0.232 0.607 0.605
0.232 0.893 0.105
0.338 0.574 0.944
0.338 0.926 0.444
0.346 0.114 0.741
0.346 0.386 0.241
0.654 0.614 0.759
0.654 0.886 0.259
0.662 0.074 0.556
0.662 0.426 0.056
0.768 0.107 0.895
0.768 0.393 0.395
0.881 0.723 0.021
0.881 0.777 0.521
0.941 0.072 0.214
0.941 0.428 0.714
```

Output
magnetic moment: 0.00 μB per formula unit
calculated volume: 238 Å³/f.u.
E (MP2020): -0.3815 Ry/atom
calculated total energy: -4.864 eV/atom
formation enthalpy at 0 K: -1.32 eV per atom

=====

# 3
Computed, not measured: a relaxed Tm3Ge13Ir4 crystal at the GGA-PBE level of DFT.

```
Tm3Ge13Ir4
1.0
9.028 0.000 0.000
0.000 9.028 0.000
0.000 0.000 9.028
Tm Ge Ir
6 26 8
direct
0.000 0.250 0.500
0.000 0.750 0.500
>>>

(Reply)
Cu1 0.000 0.000 0.000
Cu2 0.000 0.500 0.250
Si1 0.000 0.000 0.500
```

The value obtained for the energy of formation is -0.02 eV/atom.

***

# 2
First-principles (GGA-PBE) data for a relaxed structure of Ti2N2O, as listed in Materials Project.

```
data_Ti2N2O
_chemical_formula_sum 'Ti16 N16 O8'
_cell_length_a 8.203
_cell_length_b 8.222
_cell_length_c 8.226
_cell_angle_alpha 109.44
_cell_angle_beta 109.42
_cell_angle_gamma 109.41
_space_group_name_H-M_alt 'P 1'
_space_group_IT_number 1
loop_
_space_group_symop_operation_xyz
'x,y,z'
loop_
_atom_site_label
_atom_site_fract_x
_atom_site_fract_y
_atom_site_fract_z
Ti1 0.000 0.000 0.000
Ti2 0.001 0.499 0.495
Ti3 0.048 0.710 0.237
Ti4 0.214 0.168 0.439
Ti5 0.246 0.466 0.204
Ti6 0.263 0.960 0.694
Ti7 0.293 0.754 0.946
Ti8 0.466 0.212 0.161
Ti9 0.495 0.913 0.395
Ti10 0.517 0.422 0.904
Ti11 0.539 0.711 0.737
Ti12 0.701 0.671 0.443
Ti13 0.750 0.458 0.691
Ti14 0.762 0.972 0.207
Ti15 0.794 0.256 0.957
Ti16 0.964 0.212 0.651
N1 0.017 0.448 0.236
N2 0.027 0.500 0.748
N3 0.241 0.685 0.147
N4 0.261 0.233 0.241